Exercise >
Your job: search the contents further down for the word "no" and print each line that has it.
File >
~~~
Record 1
The following is a quantum chemistry calculation of a 2-piece molecular cluster, C29H27F3N2OS overall at a distorted geometry, from OMol25.

Each line ends with the Mulliken charge.
Element x y z (Å)
C (1.3320, 5.3484, 3.5692)  -1.5262
C (0.6418, 4.0146, 3.5180)  0.7268
C (-0.7495, 3.9518, 3.4081)  -0.9009
C (-1.4196, 2.7253, 3.3936)  1.4771
C (-2.9073, 2.6919, 3.2685)  -1.8386
C (-0.6644, 1.5539, 3.4886)  -0.2634
N (-1.3144, 0.2841, 3.5297)  0.6811
C (-2.0093, -0.3059, 2.5090)  0.0124
C (-1.9390, 0.1782, 1.1312)  0.6107
C (-2.9997, -0.2513, 0.2252)  -1.1998
C (-2.8582, -0.2232, -1.1221)  -0.2669
C (-3.8176, -0.8727, -1.9951)  0.9207
C (-3.5136, -1.2458, -3.3239)  -0.0458
C (-4.4373, -1.9574, -4.1036)  -0.7025
C (-5.6819, -2.3305, -3.5739)  -0.3461
C (-6.0059, -1.9573, -2.2623)  -0.6495
C (-5.0977, -1.2302, -1.4929)  -0.4593
O (-0.9966, 0.9212, 0.7817)  -0.5234
N (-2.3819, -1.5316, 2.9369)  0.1819
C (-3.1037, -2.5570, 2.2055)  -0.8769
C (-1.9909, -1.6901, 4.2582)  -0.7779
C (-1.3162, -0.5858, 4.6169)  -0.4490
C (0.7274, 1.5835, 3.5631)  0.9090
C (1.5137, 0.3155, 3.5684)  -1.5068
C (1.3712, 2.8256, 3.5756)  -1.1785
H (2.3907, 5.2325, 3.8143)  0.3776
H (1.2712, 5.8726, 2.6082)  0.3176
H (0.8793, 6.0056, 4.3202)  0.3791
H (-1.3299, 4.8742, 3.3226)  0.4491
H (-3.3500, 1.8371, 3.7882)  0.3317
H (-3.3306, 3.6047, 3.7043)  0.5443
H (-3.2248, 2.6603, 2.2181)  0.2790
H (-3.9280, -0.5648, 0.7136)  0.3703
H (-1.9972, 0.4000, -1.5321)  0.4572
H (-2.5445, -0.9663, -3.7374)  0.2224
H (-4.1966, -2.2252, -5.1354)  0.3733
H (-6.4017, -2.8968, -4.1643)  0.3718
H (-6.9730, -2.2168, -1.8267)  0.3475
H (-5.3897, -0.9092, -0.4896)  0.3207
H (-2.9177, -3.5125, 2.7065)  0.3147
H (-4.1880, -2.3752, 2.2141)  0.3230
H (-2.7681, -2.6324, 1.1644)  0.4256
H (-2.2062, -2.5925, 4.8010)  0.4490
H (-0.8144, -0.3609, 5.5359)  0.5725
H (2.5750, 0.5552, 3.4451)  0.4300
H (1.4123, -0.2460, 4.5052)  0.3252
H (1.2261, -0.3417, 2.7379)  0.2886
H (2.4634, 2.8587, 3.6207)  0.3129
F (3.4922, 3.1954, -1.3312)  -0.2714
C (2.5050, 4.0512, -1.7327)  0.8963
F (1.9672, 4.6065, -0.5940)  -0.2388
F (3.0979, 5.0617, -2.4308)  -0.2858
C (1.4465, 3.3375, -2.5368)  0.2941
C (0.8667, 3.9837, -3.6271)  -0.8104
C (-0.0724, 3.2815, -4.4010)  -0.3955
C (-0.4837, 2.0069, -4.0395)  -0.6125
C (0.0345, 1.4015, -2.8692)  0.6910
S (-0.4775, -0.1307, -2.4191)  -0.5457
C (1.0736, 2.0604, -2.1615)  -0.7411
H (1.1600, 4.9964, -3.8775)  0.3953
H (-0.4755, 3.7637, -5.2966)  0.3504
H (-1.1892, 1.4319, -4.6411)  0.3356
H (1.5729, 1.5430, -1.3464)  0.3471

The value obtained for the energy relative to the best compared isomer or geometry (same formula, charge and spin) is 184.2 kJ/mol. Its HOMO energy is -5.5 eV. The calculation puts the largest force on an atom at 3.83 eV Å⁻¹. The calculation puts the HOMO-LUMO gap at 4.3 eV.

***

Record 2
The following is a quantum chemistry calculation of one molecule with the formula C5H5N3O at a distorted geometry, from OMol25.

Each line ends with the Mulliken charge.
Element x y z (Å)
C (3.2557, 0.1696, -0.1747)  0.1526
C (1.9824, 0.1050, 0.3614)  -0.2565
C (-0.2115, -0.4083, -0.1258)  0.5163
C (-2.5265, -0.2648, -0.2408)  -0.3084
C (-2.0242, 0.9953, -0.1976)  -0.2220
H (2.1800, 0.1196, 1.4661)  0.2401
H (1.5466, 1.0711, 0.1887)  0.3092
H (-1.3535, -2.0877, -0.1584)  0.2090
H (-3.5359, -0.6415, -0.1465)  0.3517
H (-2.5643, 1.9241, -0.1570)  0.3995
N (4.3160, 0.0177, -0.5126)  -0.3813
N (0.9504, -0.8962, -0.0523)  -0.5953
N (-1.3943, -1.0821, -0.1198)  -0.0807
O (-0.6208, 0.9784, -0.1309)  -0.3343

The value obtained for the energy relative to the best compared isomer or geometry (same formula, charge and spin) is 185.8 kJ/mol. Its HOMO energy is -8.6 eV. The calculation puts the largest force on an atom at 3.99 eV Å⁻¹. Its SMILES is N#CC/N=c1/[nH]cco1. The calculation puts the HOMO-LUMO gap at 9.2 eV.

***

| no. | LUMO level (eV) |
| --- | --- |
| 1 | -1.3 |
| 2 | 0.6 |


Entry 1:
# C17H21N3O
~~~
Completed >
| no. | LUMO level (eV) |